To do >
Start at the top of the contents underneath and set down each line, ending with the one that has "0.5140 0.1478".
Data >
+++
1.
Density functional theory data (GGA-PBE) for a relaxed structure of Na12Mg4Ta2Si3P6O36.

abc: 9.0950 9.0950 21.9982
angles: 90.00 90.00 120.00
Last column: nearest neighbours and their distance in Å.
Fractional coordinates of all 126 atoms:
O 0.1702 0.4837 0.2559  1 P 1.61
O 0.6338 0.1478 0.4231  1 Si 1.68
O 0.8323 0.8004 0.5843  1 P 1.55
O 0.5163 0.6865 0.2559  1 P 1.61
O 0.9681 0.8004 0.0843  1 P 1.55
O 0.5163 0.8298 0.7559  1 P 1.61
O 0.9807 0.1927 0.3066  1 P 1.53
O 0.8437 0.3193 0.5286  1 P 1.61
O 0.6718 0.1506 0.7456  1 P 1.55
O 0.5481 0.7009 0.9801  1 Si 1.59
O 0.8522 0.4860 0.4231  1 Si 1.68
O 0.6718 0.5212 0.2456  1 P 1.55
O 0.8494 0.5212 0.7456  1 P 1.55
O 0.8522 0.3662 0.9231  1 Si 1.68
O 0.4787 0.1266 0.6428  1 P 1.53
O 0.2120 0.1927 0.8066  1 P 1.53
O 0.8494 0.3282 0.2456  1 P 1.55
O 0.3135 0.8298 0.2559  1 P 1.61
O 0.8437 0.5244 0.0286  1 P 1.61
O 0.4972 0.8648 0.3611  1 Si 1.70
O 0.8171 0.9944 0.4094  1 Si 1.60
O 0.6807 0.5244 0.5286  1 P 1.61
O 0.4972 0.6325 0.8611  1 Si 1.70
O 0.1773 0.1829 0.4094  1 Si 1.60
O 0.8073 0.7880 0.3066  1 P 1.53
O 0.5074 0.6444 0.5815  1 P 1.54
O 0.2991 0.8472 0.9801  1 Si 1.59
O 0.1352 0.6325 0.3611  1 Si 1.70
O 0.4756 0.3193 0.0286  1 P 1.61
O 0.1370 0.6444 0.0815  1 P 1.54
O 0.3135 0.4837 0.7559  1 P 1.61
O 0.2120 0.0193 0.3066  1 P 1.53
O 0.1863 0.2225 0.6924  1 P 1.54
O 0.4787 0.3521 0.1428  1 P 1.53
O 0.8734 0.5213 0.1428  1 P 1.53
O 0.5074 0.8630 0.0815  1 P 1.54
O 0.1352 0.5028 0.8611  1 Si 1.70
O 0.0362 0.8137 0.6924  1 P 1.54
O 0.7775 0.9638 0.6924  1 P 1.54
O 0.3675 0.8648 0.8611  1 Si 1.70
O 0.9807 0.7880 0.8066  1 P 1.53
O 0.1996 0.0319 0.5843  1 P 1.55
O 0.6807 0.1563 0.0286  1 P 1.61
O 0.5481 0.8472 0.4801  1 Si 1.59
O 0.4788 0.1506 0.2456  1 P 1.55
O 0.1702 0.6865 0.7559  1 P 1.61
O 0.4756 0.1563 0.5286  1 P 1.61
O 0.0056 0.8227 0.4094  1 Si 1.60
O 0.6479 0.5213 0.6428  1 P 1.53
O 0.3556 0.8630 0.5815  1 P 1.54
O 0.6338 0.4860 0.9231  1 Si 1.68
O 0.5140 0.3662 0.4231  1 Si 1.68
O 0.9681 0.1677 0.5843  1 P 1.55
O 0.1863 0.9638 0.1924  1 P 1.54
O 0.2991 0.4519 0.4801  1 Si 1.59
O 0.1773 0.9944 0.9094  1 Si 1.60
O 0.1528 0.4519 0.9801  1 Si 1.59
O 0.8323 0.0319 0.0843  1 P 1.55
O 0.7775 0.8137 0.1924  1 P 1.54
O 0.6479 0.1266 0.1428  1 P 1.53
O 0.1528 0.7009 0.4801  1 Si 1.59
O 0.1370 0.4926 0.5815  1 P 1.54
O 0.1996 0.1677 0.0843  1 P 1.55
O 0.8171 0.8227 0.9094  1 Si 1.60
O 0.8073 0.0193 0.8066  1 P 1.53
O 0.0056 0.1829 0.9094  1 Si 1.60
O 0.5140 0.1478 0.9231  1 Si 1.68
O 0.3675 0.5028 0.3611  1 Si 1.70
O 0.8734 0.3521 0.6428  1 P 1.53
O 0.3556 0.4926 0.0815  1 P 1.54
O 0.4788 0.3282 0.7456  1 P 1.55
O 0.0362 0.2225 0.1924  1 P 1.54
Si 0.6287 0.6680 0.9211  4 O 1.59-1.70
Si 0.6287 0.9607 0.4211  4 O 1.59-1.70
Si 0.0393 0.3713 0.9211  4 O 1.59-1.70
Si 0.0393 0.6680 0.4211  4 O 1.59-1.70
Si 0.3320 0.3713 0.4211  4 O 1.59-1.70
Si 0.3320 0.9607 0.9211  4 O 1.59-1.70
Ta 0.6667 0.3333 0.9787  6 O 1.98-2.00
Ta 0.6667 0.3333 0.4787  6 O 1.98-2.00
Ta 0.3333 0.6667 0.8177  6 O 1.92-2.09
Ta 0.3333 0.6667 0.3177  6 O 1.92-2.09
Mg 0.6667 0.3333 0.6831  6 O 2.01-2.18
Mg 0.3333 0.6667 0.5165  6 O 1.99-2.22
Mg 0.0000 0.0000 0.8510  6 O 2.08-2.09
Mg 0.0000 0.0000 0.3510  6 O 2.08-2.09
Mg 0.6667 0.3333 0.1831  6 O 2.01-2.18
Mg 0.0000 0.0000 0.1492  6 O 2.11-2.21
Mg 0.3333 0.6667 0.0165  6 O 1.99-2.22
Mg 0.0000 0.0000 0.6492  6 O 2.11-2.21
Na 0.3333 0.6667 0.1592  6 O 2.41-2.65
Na 0.9868 0.6361 0.2440  5 O 2.43-2.66
Na 0.6493 0.6361 0.7440  5 O 2.43-2.66
Na 0.3333 0.6667 0.6592  6 O 2.41-2.65
Na 0.7115 0.0194 0.9143  4 O 2.32-2.59
Na 0.6667 0.3333 0.3272  6 O 2.46-2.62
Na 0.0000 0.0000 0.4946  6 O 2.49-2.60
Na 0.3639 0.3507 0.2440  5 O 2.43-2.66
Na 0.3079 0.0194 0.4143  4 O 2.32-2.59
Na 0.3079 0.2885 0.9143  4 O 2.32-2.59
Na 0.0448 0.3368 0.0809  6 O 2.44-2.65
Na 0.9868 0.3507 0.7440  5 O 2.43-2.66
Na 0.6632 0.9552 0.5809  6 O 2.44-2.65
Na 0.6493 0.0132 0.2440  5 O 2.43-2.66
Na 0.7115 0.6921 0.4143  4 O 2.32-2.59
Na 0.0000 0.0000 0.9946  6 O 2.49-2.60
+++
Done >
1.
Density functional theory data (GGA-PBE) for a relaxed structure of Na12Mg4Ta2Si3P6O36.

abc: 9.0950 9.0950 21.9982
angles: 90.00 90.00 120.00
Last column: nearest neighbours and their distance in Å.
Fractional coordinates of all 126 atoms:
O 0.1702 0.4837 0.2559  1 P 1.61
O 0.6338 0.1478 0.4231  1 Si 1.68
O 0.8323 0.8004 0.5843  1 P 1.55
O 0.5163 0.6865 0.2559  1 P 1.61
O 0.9681 0.8004 0.0843  1 P 1.55
O 0.5163 0.8298 0.7559  1 P 1.61
O 0.9807 0.1927 0.3066  1 P 1.53
O 0.8437 0.3193 0.5286  1 P 1.61
O 0.6718 0.1506 0.7456  1 P 1.55
O 0.5481 0.7009 0.9801  1 Si 1.59
O 0.8522 0.4860 0.4231  1 Si 1.68
O 0.6718 0.5212 0.2456  1 P 1.55
O 0.8494 0.5212 0.7456  1 P 1.55
O 0.8522 0.3662 0.9231  1 Si 1.68
O 0.4787 0.1266 0.6428  1 P 1.53
O 0.2120 0.1927 0.8066  1 P 1.53
O 0.8494 0.3282 0.2456  1 P 1.55
O 0.3135 0.8298 0.2559  1 P 1.61
O 0.8437 0.5244 0.0286  1 P 1.61
O 0.4972 0.8648 0.3611  1 Si 1.70
O 0.8171 0.9944 0.4094  1 Si 1.60
O 0.6807 0.5244 0.5286  1 P 1.61
O 0.4972 0.6325 0.8611  1 Si 1.70
O 0.1773 0.1829 0.4094  1 Si 1.60
O 0.8073 0.7880 0.3066  1 P 1.53
O 0.5074 0.6444 0.5815  1 P 1.54
O 0.2991 0.8472 0.9801  1 Si 1.59
O 0.1352 0.6325 0.3611  1 Si 1.70
O 0.4756 0.3193 0.0286  1 P 1.61
O 0.1370 0.6444 0.0815  1 P 1.54
O 0.3135 0.4837 0.7559  1 P 1.61
O 0.2120 0.0193 0.3066  1 P 1.53
O 0.1863 0.2225 0.6924  1 P 1.54
O 0.4787 0.3521 0.1428  1 P 1.53
O 0.8734 0.5213 0.1428  1 P 1.53
O 0.5074 0.8630 0.0815  1 P 1.54
O 0.1352 0.5028 0.8611  1 Si 1.70
O 0.0362 0.8137 0.6924  1 P 1.54
O 0.7775 0.9638 0.6924  1 P 1.54
O 0.3675 0.8648 0.8611  1 Si 1.70
O 0.9807 0.7880 0.8066  1 P 1.53
O 0.1996 0.0319 0.5843  1 P 1.55
O 0.6807 0.1563 0.0286  1 P 1.61
O 0.5481 0.8472 0.4801  1 Si 1.59
O 0.4788 0.1506 0.2456  1 P 1.55
O 0.1702 0.6865 0.7559  1 P 1.61
O 0.4756 0.1563 0.5286  1 P 1.61
O 0.0056 0.8227 0.4094  1 Si 1.60
O 0.6479 0.5213 0.6428  1 P 1.53
O 0.3556 0.8630 0.5815  1 P 1.54
O 0.6338 0.4860 0.9231  1 Si 1.68
O 0.5140 0.3662 0.4231  1 Si 1.68
O 0.9681 0.1677 0.5843  1 P 1.55
O 0.1863 0.9638 0.1924  1 P 1.54
O 0.2991 0.4519 0.4801  1 Si 1.59
O 0.1773 0.9944 0.9094  1 Si 1.60
O 0.1528 0.4519 0.9801  1 Si 1.59
O 0.8323 0.0319 0.0843  1 P 1.55
O 0.7775 0.8137 0.1924  1 P 1.54
O 0.6479 0.1266 0.1428  1 P 1.53
O 0.1528 0.7009 0.4801  1 Si 1.59
O 0.1370 0.4926 0.5815  1 P 1.54
O 0.1996 0.1677 0.0843  1 P 1.55
O 0.8171 0.8227 0.9094  1 Si 1.60
O 0.8073 0.0193 0.8066  1 P 1.53
O 0.0056 0.1829 0.9094  1 Si 1.60
O 0.5140 0.1478 0.9231  1 Si 1.68